A career as an influencer? It's not always easy

how to make Money with a photo of yourself in clothing and also for your work with the world's most exotic travel. Sounds great, right? Thus it is not surprisi

A career as an influencer? It's not always easy

how to make Money with a photo of yourself in clothing and also for your work with the world's most exotic travel. Sounds great, right? Thus it is not surprising that young people are flocking influencer to want to be. However, the influencersbestaan is not always easy.

the Eemy Rutter (21) is at least five hours per day, to lose to keep up with her Instagram account. They will take pictures, and stories, and it takes a long time to get the messages to her followers to reply. "It's important to have a personal relationship with your followers is to create," she says. "That's why I take their issues very, very seriously."

Rutter's for the past four years, actively engaged in the account and earns an average of $ 100 per month. "Most of the time I get to the clothing, or the products," she says. Still, she hopes one day, her activities as an influencer, to be able to live. It is not easy, do not acknowledge them. "The competition is fierce. There are a lot of girls with similar accounts as me. This makes it difficult to break through."

See also: What the influencet of an influencer anyway? Influencers are the new footballers and pop-stars

As the young people used to flock a footballer or a pop star could dream of, a large number of a career as an influencer. Data on the aspirations of young Dutch people in this area are not from the Us.

“Social media is addictive.”
They Geraerts, a psychologist,
in a study of marktresearchbedrijf the Morning Consult shows that 86 percent of Americans between 13 and 38 years, it is down to the influencer-to-be. Of the two thousand respondents, considers that 12 per cent of itself, even if the influencer.

with The popularity of the profession, according to a psychologist, They Geraerts, who specializes in self-esteem, and in the treatment of eating disorders, to explain them away. "We human beings have a manifestatiedrang," she says. "We want to be seen to be a recognition and appreciation of others. As influencers, it will be recognition of the time."

But that is exactly the problem. "Social media can be addictive," says Geraerts. "As an influencer, you run the risk that you'll become dependent on for the likes you get from your followers."

See also For the sustainability of influencer is to make money, just a byline and The thrill of that one, like

and That was it, too, Debra, van der Heide, (25), when they were three years ago, is active on her Instagram account and decided to deposit and tips, gave it up for a healthy and fit lifestyle. At it's peak, they had fifteen thousand followers. If they have a lot of this was, when she got there, just a little kick out of it. "It felt like a kind of approval," she says. If this is not received, it was also very, very insecure. "And then I tried to put in all sorts of ways to get more likes to come," she said. "I would like to buy it."

“and Then I tried to put in all sorts of ways to get more likes to come. I would like to buy it.”
Debra van der Heide, a former influencer

If the image is in that you as the influencer shows up on social media, a lot of the reality is going to lie down, you are able to, according to Geraerts psychological burden of it. "In fact, you have to hold yourself to be the fool," says the psychologist. For example, because you have in your account to show you how to enjoy life, but in the meantime, a lot of stress and that you need to post.

You're probably almost in the

Materials data from another source follow >
~~~
# 1
Below is crystalline ScCo3B at its relaxed geometry, with properties calculated at the PBE level.

Cell lengths 4.1673, 4.6727, 7.2525 Å; angles 90.00, 106.70, 90.00 degrees
Fractional coordinates of all 10 atoms:
Sc1 0.1793 0.2500 0.3585
Sc2 0.8207 0.7500 0.6415
Co1 0.1232 0.2500 0.7360
Co2 0.6128 0.2500 0.7360
Co3 0.3872 0.7500 0.2640
Co4 0.8768 0.7500 0.2640
Co5 0.0000 0.0000 0.0000
Co6 0.0000 0.5000 0.0000
B1 0.4968 0.2500 0.9936
B2 0.5032 0.7500 0.0064

- total magnetization (μB/f.u.) = 2.15
- energy of formation from the pure elements (eV per atom) = 0.36



# 2
Below is crystalline ScCoB3 at its relaxed geometry, with properties calculated at the PBE level.

Cell lengths 3.3388, 3.0489, 9.1122 Å; angles 90.00, 100.56, 90.00 degrees
Fractional coordinates of all 10 atoms:
Sc1 0.9232 0.7500 0.8463
Sc2 0.0768 0.2500 0.1537
Co1 0.2070 0.7500 0.4140
Co2 0.7930 0.2500 0.5860
B1 0.6293 0.7500 0.2586
B2 0.3707 0.2500 0.7414
B3 0.5250 0.7500 0.0499
B4 0.4750 0.2500 0.9501
B5 0.6806 0.2500 0.3612
B6 0.3194 0.7500 0.6388

- total magnetization (μB/f.u.) = 0.46
- polymorph energy (0 for the lowest one) (meV per atom) = 0
- energy of formation from the pure elements (eV per atom) = -0.57



Which formula does entry 1 have?
ScCo3B

~~~~~

Compound: AlCr2Ge2
Source: Alexandria via LeMat-Bulk
Functional: GGA-PBE
Structure: relaxed

a = 6.6273 Å, b = 6.6273 Å, c = 3.2669 Å
α = 90.00°, β = 90.00°, γ = 90.00°
Atoms (fractional coordinates):
Al1 0.0000 0.0000 0.0000
Al2 0.5000 0.5000 0.0000
Cr1 0.1458 0.3542 0.0000
Cr2 0.3542 0.8542 0.0000
Cr3 0.6458 0.1458 0.0000
Cr4 0.8542 0.6458 0.0000
Ge1 0.1514 0.6514 0.5000
Ge2 0.3486 0.1514 0.5000
Ge3 0.6514 0.8486 0.5000
Ge4 0.8486 0.3486 0.5000

distance to the lowest polymorph of the same formula: 0 meV/atom
magnetization: 2.71 μB/cell
ΔH_f (0 K): 0.12 eV per atom
calculated total energy: -0.4648 Ry per atom
~~~
Back to the text >

you can Also Rutter experiences regular stress on their account. In order to make sure that they always have the photos to hand, she has been working for two weeks in advance. However, it happens sometimes due to the supply of time, for example because they are ill, is had been.

"I can just be in a panic to shoot it," she says. A day of nothing to post for Rutter, in fact, no option. "I feel I am obliged to my followers each and every day to keep them."

“On my account and saw that you have a happy and fit girl, but in the mean time, I am not at all happy.”
Debra van der Heide, a former influencer

Also, according to Geraerts, so that you are going to believe in that perfect image that you, yourself, have created. "Well, if it does not match up with how you're feeling, it can be very confusing."

That was exactly the reason van der Heide decided to stop influencen. "On my account and saw that you have a happy and fit girl, but in the mean time, I am not at all happy," she said. "In my head and I was out the whole day, and my account is working. It became an obsession." Regretting her decision to quit, she has never had before. "I just felt so free."

Date Of Update: 12 January 2020, 13:01